The Gordo Blogga

Formerly known as "Untying the Gordian Knot"

Thursday, February 24, 2005

Here we go again

Summary: AARP (retired people) is against Social Security reform. In order to make them play nice a smear campaign is in progress a la McCain 2000 and Kerry 2004.

Here is something I don't get... why doesn't the slimed side do some sliming themselves? If you can't beat them - join them. Surely, being the bigger man and a loser doesn't mean much. If someone is throwing mud at you why stand there, take the hits and beg them to stop? The best defense is to attack back. The tactic "Swifties" used can be VERY easily replicated. It is no brain science. It involves finding out what irkes the electorate and then finding a way to attach that to your opponent - truth is usually fuzzy anyways. We really need a little pragmatism around here!
Update - Slate explores the responses from the blogosphere to an e-book touting succesful strategies conservatives have been (and can continue) using to get their way.

Misplaced records of crystals:
FeNiW3 SCAN PBEsol geometry; DFT total energy = -46.9887 eV per atom; space-group type = Pm-3m, No. 221; ΔH_f (0 K) = 1685 meV/atom
1.0
4.361 0.000 0.000
0.000 4.361 0.000
0.000 0.000 4.361
W Fe Ni
3 1 1
Direct
0.000 0.000 0.500 W
0.000 0.500 0.000 W
0.500 0.000 0.000 W
0.000 0.000 0.000 Fe
0.500 0.500 0.500 Ni

=====

TcNiIr2 SCAN PBEsol geometry; DFT total energy = -48.5178 eV per atom; space-group type = Pmmm, No. 47; ΔH_f (0 K) = -160 meV/atom
1.0
2.681 0.000 0.000
0.000 3.707 0.000
0.000 0.000 5.298
Ir Tc Ni
2 1 1
Direct
0.000 0.000 0.245 Ir
0.000 0.000 0.755 Ir
0.500 0.500 0.500 Tc
0.500 0.500 0.000 Ni

=====

HgPbN2 SCAN PBEsol geometry; DFT total energy = -38.9056 eV per atom; space-group type = Fm-3m, No. 225; formation energy (no corrections) = 1727 meV/atom
1.0
4.389 0.000 0.000
2.195 3.801 0.000
2.195 1.267 3.584
N Hg Pb
2 1 1
Direct
0.250 0.250 0.250 N
0.750 0.750 0.750 N
0.000 0.000 0.000 Hg
0.500 0.500 0.500 Pb

* * * * *

# 1
## Ta2SbBr (PBE)

Data for Ta2SbBr after structural relaxation.

Structure (CIF):
```
data_Ta2SbBr
_chemical_formula_sum 'Ta2 Sb1 Br1'
_symmetry_space_group_name_H-M 'P 4 m m'
_symmetry_Int_Tables_number 99
_symmetry_space_group_name_Hall 'P 4 -2'
_cell_length_a 3.4252
_cell_length_b 3.4252
_cell_length_c 8.1453
_cell_angle_alpha 90.00
_cell_angle_beta 90.00
_cell_angle_gamma 90.00
loop_
_atom_site_label
_atom_site_type_symbol
_atom_site_fract_x
_atom_site_fract_y
_atom_site_fract_z
_atom_site_occupancy
Ta1 Ta 0.0000 0.0000 0.0000 1
Ta2 Ta 0.5000 0.5000 0.1779 1
Sb1 Sb 0.5000 0.5000 0.8048 1
Br1 Br 0.0000 0.0000 0.4175 1
```

Summary:
E_tot, eV/atom: -7.29
D(E_F), states/eV/cell: 2.33
E_form (uncorrected), meV per atom: 89.0

---

# 2
## TaSb2Br (PBE)

Data for TaSb2Br after structural relaxation.

Structure (CIF):
```
data_TaSb2Br
_chemical_formula_sum 'Ta2 Sb4 Br2'
_symmetry_space_group_name_H-M 'I m m m'
_symmetry_Int_Tables_number 71
_symmetry_space_group_name_Hall '-I 2 2'
_cell_length_a 3.1374
_cell_length_b 5.1234
_cell_length_c 12.7337
_cell_angle_alpha 90.00
_cell_angle_beta 90.00
_cell_angle_gamma 90.00
loop_
_atom_site_label
_atom_site_type_symbol
_atom_site_fract_x
_atom_site_fract_y
_atom_site_fract_z
_atom_site_occupancy
Ta1 Ta 0.0000 0.0000 0.0000 1
Sb1 Sb 0.0000 0.5000 0.3063 1
Br1 Br 0.0000 0.0000 0.5000 1
```

Summary:
E_tot, eV/atom: -5.11
D(E_F), states/eV/cell: 7.19
E_form (uncorrected), meV per atom: 336.1

---

# 3
## TaSbBr (PBE)

Data for TaSbBr after structural relaxation.

Structure (CIF):
```
data_TaSbBr
_chemical_formula_sum 'Ta1 Sb1 Br1'
_symmetry_space_group_name_H-M 'P -6 m 2'
_symmetry_Int_Tables_number 187
_symmetry_space_group_name_Hall 'P -6 2'
_cell_length_a 4.8098
_cell_length_b 4.8098
_cell_length_c 3.1800
_cell_angle_alpha 90.00
_cell_angle_beta 90.00
_cell_angle_gamma 120.00
loop_
_atom_site_label
_atom_site_type_symbol
_atom_site_fract_x
_atom_site_fract_y
_atom_site_fract_z
_atom_site_occupancy
Ta1 Ta 0.0000 0.0000 0.0000 1
Sb1 Sb 0.3333 0.6667 0.5000 1

Wednesday, February 09, 2005

Value of life

I've had a number of conversations with various people in the past few months on the value of life. I am amazed with how many people value life over everything else. Once you focus so hard on anything it tends to become a self-defeating quest. Life becomes valued for no other reason than its pure existence.

We have turned capitalist even in our perceptions of humanity. Quantity is valued over quality. Why is there this intense focus on preserving life at all cost? Has anyone stopped and asked where's the utility? What is the point?

Instead of getting lost in a web of nebulous arguments let's look at some examples of what I'm talking about here.

1. Abortion. It was pointed out to me that the question of abortion comes down to the question of when life starts. That's examing the question from the quantity perspective again - preserving life at all cost. What about the quality? Shouldn't a mother have a right to decide whether she wants to carry a baby for nine months and nurture it for 15-20 years afterwards? What happens to her job/career? What if she's a single mom? What if she's been raped? What about the child that she's going to bring into this world. Can she support it? Is she willing to leave that child at the mercy of others through adoption? What about the quality of life for a child that's not wanted?

2. Euthanasia. We love life so much that we submit other people to a prolonged, torturous death by preventing them from dying. That's how much we love life. We'll drug you to the point where you won't know who you are, but we won't let you die. What's the point?

3. Danger. "Do not worry citizen! We're working dilligently on making sure you live a very long and dull life!" A person cannot ride a bike without a helmet. Cannot drive a car without a seatbelt. Cannot take "bad" drugs. Cannot drink alcohol until 21, but can enlist and command heavy weaponry in order to kill that precious life we work so hard to preserve. Certain sex acts are illegal for crying out loud - of course, only to protect people's moral fortitude.

All I have to say is that it would be nice to put a little more emphasis on the QUALITY and NOT QUANTITY when it comes to life. Reproducing is easy. Living a happy and fullfilled life is not!

Brilliant Strategy for Defeating Fundamentalists

-- These records of crystals were left in the article by mistake --
(1)
Tl2SbAu: optimized geometry, PBE.

Unit cell a=6.203 b=6.203 c=6.203 alpha=137.92 beta=137.92 gamma=61.02
Element x y z (fractional)
Tl1 0.000 0.000 0.000
Tl2 0.500 0.500 0.000
Sb1 0.750 0.250 0.500
Au1 0.250 0.750 0.500

Results
Energy relative to the elements, uncorrected ... 0.091 eV per atom
Space-group type ... I4/mmm
Uncorrected energy ... -2.942 eV per atom
Volume ... 26.50 A^3/atom
M_tot ... 0.0 μB/cell


(2)
Tl5SbAu2: optimized geometry, PBE.

Unit cell a=4.123 b=6.857 c=17.051 alpha=90.00 beta=90.00 gamma=107.49
Element x y z (fractional)
Tl1 0.045 0.089 0.403
Tl2 0.531 0.062 0.750
Tl3 0.342 0.683 0.051
Tl4 0.469 0.938 0.250
Tl5 0.658 0.317 0.949
Tl6 0.955 0.911 0.903
Tl7 0.045 0.089 0.097
Tl8 0.342 0.683 0.449
Tl9 0.658 0.317 0.551
Tl10 0.955 0.911 0.597
Au1 0.715 0.429 0.133
Au2 0.285 0.571 0.633
Au3 0.285 0.571 0.867
Au4 0.715 0.429 0.367
Sb1 0.208 0.417 0.250
Sb2 0.792 0.583 0.750

Results
Energy relative to the elements, uncorrected ... -0.005 eV per atom
Space-group type ... Cmcm
Uncorrected energy ... -2.818 eV per atom
Volume ... 28.74 A^3/atom
M_tot ... 0.0 μB/cell


(3)
Tl2SbAu: optimized geometry, PBE.

Unit cell a=3.404 b=3.404 c=9.225 alpha=90.00 beta=90.00 gamma=90.00
Element x y z (fractional)
Sb1 0.500 0.500 0.750
Au1 0.500 0.500 0.250
Tl1 0.000 0.000 0.032
Tl2 0.000 0.000 0.468

Results
Energy relative to the elements, uncorrected ... 0.070 eV per atom
Space-group type ... P4/mmm
Uncorrected energy ... -2.963 eV per atom
Volume ... 26.72 A^3/atom
M_tot ... 0.0 μB/cell


(4)
Tl4SbAu5: optimized geometry, PBE.

Unit cell a=5.960 b=7.164 c=7.207 alpha=80.02 beta=66.70 gamma=65.20
Element x y z (fractional)
Tl1 0.804 0.608 0.781
Tl2 0.589 0.218 0.605
Tl3 0.194 0.392 0.219
Tl4 0.408 0.782 0.395
Au1 0.500 0.000 0.000
Au2 0.105 0.180 0.612
Au3 0.893 0.820 0.387
Au4 0.715 0.389 0.179
Au5 0.282 0.611 0.821
Sb1 0.000 0.000 0.000

Results
Energy relative to the elements, uncorrected ... -0.004 eV per atom
Space-group type ... P1
Uncorrected energy ... -3.002 eV per atom
Volume ... 25.66 A^3/atom
M_tot ... 0.0 μB/cell


(5)
Tl12Sb7Au: optimized geometry, PBE.

Unit cell a=9.210 b=9.210 c=9.210 alpha=107.57 beta=107.57 gamma=107.57
Element x y z (fractional)
Sb1 0.707 0.988 0.066
Sb2 0.988 0.066 0.707
Sb3 0.066 0.707 0.988
Sb4 0.500 0.500 0.500
Sb5 0.934 0.293 0.012
Sb6 0.293 0.012 0.934
Sb7 0.012 0.934 0.293
Tl1 0.679 0.358 0.182
Tl2 0.818 0.321 0.642
Tl3 0.677 0.584 0.907
Tl4 0.642 0.818 0.321
Tl5 0.321 0.642 0.818
Tl6 0.093 0.323 0.416
Tl7 0.182 0.679 0.358
Tl8 0.584 0.907 0.677
Tl9 0.416 0.093 0.323
Tl10 0.907 0.677 0.584
Tl11 0.358 0.182 0.679
Tl12 0.323 0.416 0.093
Au1 0.000 0.000 0.000

Results
Energy relative to the elements, uncorrected ... 0.024 eV per atom
Space-group type ... R-3
Uncorrected energy ... -3.003 eV per atom
Volume ... 32.01 A^3/atom
M_tot ... 0.0 μB/cell


(6)
TlSb2Au: optimized geometry, PBE.

Unit cell a=4.341 b=5.293 c=5.294 alpha=110.94 beta=90.00 gamma=90.00
Element x y z (fractional)

We have a saying back home that says you cure a dog bite with dog hair. I think the equivalent in the United States is fight fire with fire. Neither of the expressions are supposed to be applied literaly. This is something that the United States often forgets when it attempts to fight terrorism with terror.

"If you beat these people up they become more stubborn. If you hit them, they will enjoy the pain and find something good in it - it is a part of their ideology. Instead, what we must do is erase what they have been taught and explain to them that terrorism will only harm Yemenis' jobs and prospects." says Faris Sanabani, a former adviser to President Abdullah Saleh and editor-in-chief of the Yemen Observer, a weekly English-language newspaper.

Or in the words of Mr. al-Hitar whose radically different approach to fighting Islamic fundamentalism played a key role in transforming Yemen (click on title to read full article).

"If you study terrorism in the world, you will see that it has an intellectual theory behind it," says Hitar. "And any kind of intellectual idea can be defeated by intellect."

Brilliant!! I'd love to see this approach used more widely when fighting fundamentalism of any kind!

Smoke and be fired

Believe it or not the smoking I'm referring to is of the legal kind - cigarettes. Not only is the government taxing the shit out of smokers and sponsoring an all-out campaign to stop smoking, now an employer in Michigan is using healthcare costs as an excuse to fire people who smoke on their own time. Check this - they are doing random nicotine testing!!!

Ridiculous!? You bet your fanny it is!

Friday, February 04, 2005

== What comes next are materials data, not part of the text ==
┌──
## La3Nd6Ho2Mg (GGA-PBE)

Data for crystalline La3Nd6Ho2Mg at its relaxed geometry.

a = 6.325 Å, b = 6.325 Å, c = 11.982 Å
α = 95.09°, β = 95.09°, γ = 120.08°
Sites, in units of the cell vectors:
La  0.000  0.000  0.000
La  0.332  0.668  0.000
La  0.668  0.332  0.000
Nd  0.089  0.421  0.258
Nd  0.249  0.249  0.743
Nd  0.421  0.089  0.258
Nd  0.579  0.911  0.742
Nd  0.751  0.751  0.257
Nd  0.911  0.579  0.742
Ho  0.167  0.833  0.500
Ho  0.833  0.167  0.500
Mg  0.500  0.500  0.500

Summary:
Energy of formation from the pure elements ... 36 kJ/mol of formula units
Fermi-level density of states ... 16.76 states/eV/cell
SG ... No. 12

----------

Record 1
## ZnMoCl6 (PBE)

Data for a relaxed structure of ZnMoCl6.

Unit cell a=6.602 b=6.602 c=6.602 alpha=55.99 beta=55.99 gamma=55.99
Element x y z (fractional)
Zn: 0.000 0.000 0.000
Mo: 0.500 0.500 0.500
Cl: 0.106 0.741 0.407
Cl: 0.259 0.593 0.894
Cl: 0.407 0.106 0.741
Cl: 0.593 0.894 0.259
Cl: 0.741 0.407 0.106
Cl: 0.894 0.259 0.593

- Space-group type: R-3 (148)
- Formation energy from raw total energies: -0.837 eV per atom

Record 2
## ZnMo2Cl (PBE)

Data for a relaxed structure of ZnMo2Cl.

Unit cell a=4.837 b=4.837 c=4.970 alpha=103.64 beta=103.64 gamma=34.10
Element x y z (fractional)
Zn: 0.000 0.000 0.000
Mo: 0.246 0.246 0.752
Mo: 0.754 0.754 0.248
Cl: 0.500 0.500 0.500

- Space-group type: C2/m (12)
- Formation energy from raw total energies: 0.541 eV per atom
- Distance to the lowest polymorph of the same formula: 356.7 meV per atom
└──

Portable digital for audiophiles

Great guide on building a great sounding portable digital system.

Also, here is a link to a review of earphones.